What is needed: find "3.2 -4.1" and "-1.36610 -0.51590" in the data below, and transcribe these two lines and those between.

The following is a quantum chemistry calculation of a structure of composition C26H32MoN3O10P, from the OMol25 dataset.

```
73
Properties=species:S:1:pos:R:3:forces:R:3:lowdin_charge:R:1
Mo 0.00000 0.00000 0.00000 6.1 2.7 4.0 2.043
O -1.08030 -5.19030 -0.60790 1.0 0.7 0.7 0.037
C 0.01820 -5.19580 0.21960 -0.8 -0.5 -0.6 -0.247
C 0.53910 -6.45610 0.52660 0.6 0.1 0.4 -0.011
C 1.65430 -6.56770 1.35480 -0.5 0.3 -0.3 -0.077
C 2.24570 -5.41870 1.87460 -0.2 0.7 -0.1 -0.090
C 1.72070 -4.15820 1.56540 -0.1 -0.1 -0.1 -0.012
C 0.59560 -4.01430 0.72870 -0.5 -0.4 -0.2 -0.049
C -0.00590 -2.66390 0.37950 0.1 -5.7 0.6 -0.456
O 0.70790 -1.71930 0.75760 -0.8 0.5 -0.8 -0.143
N -1.14690 -2.64100 -0.24830 1.0 0.2 -0.6 0.056
N -1.47840 -1.30740 -0.46790 -0.2 -1.4 0.8 -0.118
C -2.67060 -1.03540 -0.05510 -1.9 2.1 -0.3 -0.003
C -3.22930 0.32900 -0.12360 0.4 -1.7 0.0 -0.132
C -4.55310 0.44620 -0.58530 -0.3 0.9 0.4 -0.025
C -5.14150 1.70090 -0.69080 -0.6 -1.1 0.5 -0.105
C -4.40820 2.82150 -0.32220 1.0 -0.4 2.2 -0.101
C -3.09680 2.67800 0.15760 -1.2 0.9 1.0 -0.005
C -2.44820 1.43320 0.28790 -3.3 0.4 -1.1 -0.345
O -1.26450 1.32730 0.75730 -1.3 -0.4 0.5 -0.199
H -1.30130 -4.22520 -0.69070 -0.4 -0.7 -0.3 0.050
H 0.06640 -7.34060 0.11400 0.0 0.2 0.0 0.117
H 2.05880 -7.54520 1.59310 0.0 0.1 0.0 0.104
H 3.11380 -5.48670 2.52170 -0.1 0.0 -0.1 0.099
H 2.18740 -3.26740 1.98110 -0.1 -0.1 -0.1 0.117
H -3.33170 -1.82000 0.34890 0.6 0.0 -0.5 0.167
H -5.09780 -0.44250 -0.88260 0.0 0.0 0.1 0.121
H -6.15310 1.80280 -1.06380 0.1 0.0 0.0 0.116
H -4.83710 3.81370 -0.39930 0.1 -0.1 0.0 0.127
H -2.54120 3.56840 0.44920 -0.5 -0.6 -0.1 0.089
C -0.72000 4.83160 0.11700 0.0 -0.2 0.0 -0.031
C 0.63900 4.87170 -0.58630 0.3 1.7 0.8 -0.619
C 1.79100 4.74900 0.41570 0.1 -0.4 0.2 -0.020
C 0.76990 6.22540 -1.30340 0.0 0.0 -0.4 -0.031
O 0.77170 3.89940 -1.61360 0.1 -1.6 0.2 -0.134
P 0.38730 2.33420 -1.42970 1.1 3.2 -4.1 0.327
O 1.02040 1.57010 -2.56450 -0.9 -0.1 1.9 -0.236
O 0.62360 1.91930 0.00000 0.3 1.3 -1.1 -0.383
O -1.21610 2.42240 -1.65990 1.1 -0.7 0.7 -0.191
C -1.82960 2.46020 -2.94080 -1.3 0.2 -1.6 -0.588
C -1.19040 3.47530 -3.89170 0.5 0.1 0.0 -0.023
C -3.27880 2.89850 -2.67290 0.3 -0.3 -0.4 -0.033
C -1.86120 1.05870 -3.55780 0.4 -0.3 -0.1 -0.020
H -0.82380 5.65770 0.82910 0.2 -0.1 -0.2 0.105
H -0.86610 3.90080 0.67240 0.5 0.2 0.0 0.062
H -1.53770 4.90240 -0.60790 0.2 0.1 0.0 0.084
H 1.81610 5.60210 1.10260 -0.1 0.0 -0.2 0.092
H 2.75460 4.69180 -0.10300 -0.2 0.1 -0.1 0.097
H 1.70980 3.84530 1.02510 -0.1 0.0 -0.1 0.061
H 0.70530 7.06580 -0.60410 0.0 -0.2 0.0 0.088
H -0.01580 6.34430 -2.05850 0.0 -0.1 0.2 0.079
H 1.72460 6.29360 -1.83840 -0.1 -0.1 0.2 0.092
H -1.15560 4.47040 -3.43570 -0.1 -0.1 0.0 0.081
H -1.75180 3.54990 -4.82960 -0.1 -0.2 0.3 0.095
H -0.16170 3.20560 -4.14720 -0.1 0.0 0.1 0.084
H -3.30590 3.88590 -2.19750 0.1 -0.1 -0.3 0.094
H -3.77390 2.20860 -1.97930 0.9 0.3 -1.7 0.028
H -3.86850 2.94390 -3.59460 0.3 0.0 0.0 0.108
H -0.86550 0.71840 -3.85370 0.0 0.2 0.1 0.077
H -2.49320 1.02950 -4.45220 0.0 0.1 0.2 0.095
H -2.24230 0.32470 -2.83880 -0.2 0.2 0.0 0.070
O -1.18270 -1.92490 2.46390 -0.1 0.9 0.0 0.072
C -0.57250 -0.93180 2.84880 -1.8 -2.8 0.9 -0.461
C -0.39190 -0.63790 4.30230 -0.1 -0.1 0.8 -0.070
C 0.39190 0.63790 4.30240 0.0 0.0 0.8 -0.072
C 0.57250 0.93180 2.84880 2.5 4.2 0.6 -0.472
O 1.18270 1.92490 2.46390 -0.7 -1.3 0.5 0.076
N 0.00000 0.00000 2.09190 0.2 -0.5 -1.4 0.027
H 0.15710 -1.45180 4.78560 -0.3 -0.1 -0.2 0.137
H -1.36610 -0.51590 4.78560 0.1 -0.3 -0.2 0.135
H 1.36610 0.51590 4.78560 -0.1 0.3 -0.2 0.136
H -0.15710 1.45180 4.78560 0.3 0.0 -0.2 0.135
O 1.71050 0.00000 0.00000 -1.4 0.0 -1.7 -0.282
```
Positions in Å, forces in eV/Å.

**Energy above the lowest of the compared OMol25 structures with the same formula, charge and spin**: 187.14 kcal per mole
**Net charge**: 0
**2S+1**: 1
**Max |F|**: 7.76 eV Å⁻¹
**Energy**: -63569.8193 eV

The following is a quantum chemistry calculation of a structure of composition C13H22N4O3PbS, from the OMol25 dataset.

P 0.38730 2.33420 -1.42970 1.1 3.2 -4.1 0.327
O 1.02040 1.57010 -2.56450 -0.9 -0.1 1.9 -0.236
O 0.62360 1.91930 0.00000 0.3 1.3 -1.1 -0.383
O -1.21610 2.42240 -1.65990 1.1 -0.7 0.7 -0.191
C -1.82960 2.46020 -2.94080 -1.3 0.2 -1.6 -0.588
C -1.19040 3.47530 -3.89170 0.5 0.1 0.0 -0.023
C -3.27880 2.89850 -2.67290 0.3 -0.3 -0.4 -0.033
C -1.86120 1.05870 -3.55780 0.4 -0.3 -0.1 -0.020
H -0.82380 5.65770 0.82910 0.2 -0.1 -0.2 0.105
H -0.86610 3.90080 0.67240 0.5 0.2 0.0 0.062
H -1.53770 4.90240 -0.60790 0.2 0.1 0.0 0.084
H 1.81610 5.60210 1.10260 -0.1 0.0 -0.2 0.092
H 2.75460 4.69180 -0.10300 -0.2 0.1 -0.1 0.097
H 1.70980 3.84530 1.02510 -0.1 0.0 -0.1 0.061
H 0.70530 7.06580 -0.60410 0.0 -0.2 0.0 0.088
H -0.01580 6.34430 -2.05850 0.0 -0.1 0.2 0.079
H 1.72460 6.29360 -1.83840 -0.1 -0.1 0.2 0.092
H -1.15560 4.47040 -3.43570 -0.1 -0.1 0.0 0.081
H -1.75180 3.54990 -4.82960 -0.1 -0.2 0.3 0.095
H -0.16170 3.20560 -4.14720 -0.1 0.0 0.1 0.084
H -3.30590 3.88590 -2.19750 0.1 -0.1 -0.3 0.094
H -3.77390 2.20860 -1.97930 0.9 0.3 -1.7 0.028
H -3.86850 2.94390 -3.59460 0.3 0.0 0.0 0.108
H -0.86550 0.71840 -3.85370 0.0 0.2 0.1 0.077
H -2.49320 1.02950 -4.45220 0.0 0.1 0.2 0.095
H -2.24230 0.32470 -2.83880 -0.2 0.2 0.0 0.070
O -1.18270 -1.92490 2.46390 -0.1 0.9 0.0 0.072
C -0.57250 -0.93180 2.84880 -1.8 -2.8 0.9 -0.461
C -0.39190 -0.63790 4.30230 -0.1 -0.1 0.8 -0.070
C 0.39190 0.63790 4.30240 0.0 0.0 0.8 -0.072
C 0.57250 0.93180 2.84880 2.5 4.2 0.6 -0.472
O 1.18270 1.92490 2.46390 -0.7 -1.3 0.5 0.076
N 0.00000 0.00000 2.09190 0.2 -0.5 -1.4 0.027
H 0.15710 -1.45180 4.78560 -0.3 -0.1 -0.2 0.137
H -1.36610 -0.51590 4.78560 0.1 -0.3 -0.2 0.135